Artificial fluoridation will stay out of Amherstburg’s drinking water after town council passed a moratorium against adding fluoride Monday night.

Town council was unanimous in passing a motion put forward by Councillor Carolyn Davies that called for the moratorium to be put into place. Her motion read “that a moratorium be put on future purchase and installation of new municipal water fluoridation equipment and future purchase and use of fluoridation chemical known as hydrofluorosilicic acid (H2SiF6) containing silicofluoride and further that administration be directed to request from government jurisdictions including Health Canada, the Ontario Ministries of Labour and Environment, evidence ensuring that town employees and any others working with the hydrofluorosilicic acid process are not put in harm’s way, as required by the Ontario Health and Safety Act (1990).”

Fluoride is the legal and financial responsibility of municipal governments, said Davies and that more information is now available that when fluoride was first introduced roughly 60 years ago.

“I think we’ve heard more peer reviews and scientific reviews that didn’t exist in the ‘40s or the ‘50s,” she said.

The town had already suspended artificial water fluoridation last April awaiting information repairs were made to the system and methodology in providing fluoridation was provided by the town’s consultants CH2M Hill. However, Davies said that becomes a “moot point” with her motion now passed.

“Why spend taxpayers’ money on something that has proven evidence of human harm?” she asked.

1.
Calculated X-ray diffraction stick pattern of Li3Co2C4O12 for Cu Kα (weighted mean of Kα1 and Kα2), from a PBE+U-relaxed structure.
Kinematic intensities with the Lorentz-polarization factor, no thermal factor.

Cell and atoms:
```
data_Li3Co2C4O12
_symmetry_space_group_name_H-M 'P 1'
_symmetry_Int_Tables_number 1
_cell_length_a 5.4155
_cell_length_b 6.3472
_cell_length_c 16.1622
_cell_angle_alpha 88.14
_cell_angle_beta 88.37
_cell_angle_gamma 65.19
loop_
_symmetry_equiv_pos_as_xyz
'x,y,z'
loop_
_atom_site_label
_atom_site_type_symbol
_atom_site_fract_x
_atom_site_fract_y
_atom_site_fract_z
_atom_site_occupancy
Li1 Li 0.0000 0.0000 0.0000 1
Li2 Li 0.0060 0.4763 0.0841 1
Li3 Li 0.4577 0.5748 0.2662 1
Li4 Li 0.4959 0.0065 0.4922 1
Li5 Li 0.5093 0.4777 0.5839 1
Li6 Li 0.9659 0.5703 0.7631 1
Co1 Co 0.4170 0.0208 0.1748 1
Co2 Co 0.4675 0.5249 0.9205 1
Co3 Co 0.9566 0.0118 0.6823 1
Co4 Co 0.9663 0.5338 0.4208 1
C1 C 0.0588 0.4029 0.2731 1
C2 C 0.1135 0.9163 0.8189 1
C3 C 0.4422 0.6433 0.0730 1
C4 C 0.4930 0.1308 0.0274 1
C5 C 0.5732 0.4044 0.7719 1
C6 C 0.6073 0.9167 0.3147 1
C7 C 0.9451 0.6544 0.5728 1
C8 C 0.9690 0.1445 0.5242 1
O1 O 0.0770 0.1932 0.4588 1
O2 O 0.1280 0.3283 0.1966 1
O3 O 0.1315 0.0721 0.5887 1
O4 O 0.1569 0.5965 0.5245 1
O5 O 0.1956 0.8663 0.8929 1
O6 O 0.2260 0.6396 0.0423 1
O7 O 0.2290 0.4431 0.3177 1
O8 O 0.2471 0.9655 0.7590 1
O9 O 0.2517 0.1409 0.0466 1
O10 O 0.3347 0.4463 0.8003 1
O11 O 0.3788 0.9088 0.2959 1
O12 O 0.4424 0.7085 0.1490 1
O13 O 0.5621 0.1891 0.9573 1
O14 O 0.6535 0.3294 0.6967 1
O15 O 0.6573 0.5822 0.0263 1
O16 O 0.6718 0.0556 0.0866 1
O17 O 0.7048 0.8695 0.3877 1
O18 O 0.7250 0.1632 0.5322 1
O19 O 0.7269 0.6511 0.5430 1
O20 O 0.7271 0.9734 0.2529 1
O21 O 0.7377 0.4429 0.8203 1
O22 O 0.8254 0.4413 0.3039 1
O23 O 0.8824 0.9196 0.7944 1
O24 O 0.9520 0.7126 0.6493 1
```

Main lines, sorted by position (2θ = 10–80°):
18.78 deg, rel. 100, hkl 1 1 1; 18.96 deg, rel. 35, hkl 1 0 -1; 19.16 deg, rel. 71, hkl 1 1 -1; 28.93 deg, rel. 17, hkl 1 -1 1; 31.05 deg, rel. 15, hkl 0 2 0; 33.27 deg, rel. 13, hkl 0 2 -2

2.
Calculated X-ray diffraction stick pattern of Li3Co2C4O12 for Cu Kα (weighted mean of Kα1 and Kα2), from a PBE+U-relaxed structure.
Kinematic intensities with the Lorentz-polarization factor, no thermal factor.

Cell and atoms:
```
data_Li3Co2C4O12
_symmetry_space_group_name_H-M 'P 1'
_symmetry_Int_Tables_number 1
_cell_length_a 5.2086
_cell_length_b 6.3564
_cell_length_c 7.8364
_cell_angle_alpha 89.88
_cell_angle_beta 89.56
_cell_angle_gamma 66.03
loop_
_symmetry_equiv_pos_as_xyz
'x,y,z'
loop_
_atom_site_label
_atom_site_type_symbol
_atom_site_fract_x
_atom_site_fract_y
_atom_site_fract_z
_atom_site_occupancy
Li1 Li 0.0000 0.0000 0.0000 1
Li2 Li 0.1010 0.1415 0.4888 1
Li3 Li 0.5825 0.6810 0.8749 1
Co1 Co 0.2843 0.3471 0.9264 1
Co2 Co 0.7857 0.8309 0.4333 1
C1 C 0.0436 0.4611 0.1868 1
C2 C 0.0531 0.7366 0.7020 1
C3 C 0.5145 0.9701 0.1681 1
C4 C 0.5548 0.2249 0.6724 1
O1 O 0.1577 0.7861 0.5671 1

Davies added she is confident there will be no evidence to the contrary to come forth proving there is are no safety risks to adding fluoride to drinking water.

“I think we should go through with it,” said Councillor Bart DiPasquale of the moratorium. “Other communities have done it. Let’s go through with it and move on.”

Kimberly DeYong of Fluoride Free Windsor and Heather Gingerich, director of the International Medical Geology Association, told council of their research in respect to potential risks fluoride poses to both human health and environment.

DeYong said Amherstburg was the only town not served by the Windsor Utilities Commission to still use fluoride in its water. She added that 13 Canadian municipalities in the last 15 months to stop putting fluoride in its drinking water.

“Our water is something that should be pure. It should not be used to deliver medication,” said DeYong.

Gingerich recommended that council not resume artificial fluoridation, noting that it would comply with environmental regulations, protect people including the unborn and elderly and allow provincial public health care dollars to be targeted in other ways. She noted that people begin to show negative impacts in the third generation of exposure.

Several local residents also urged council to eliminate artificial fluoridation.

“As a private resident, I would like to be able to be confident that the water we are drinking is water,” said Lorene Clayton.

If water is fluoridated, she said people couldn’t even make soup without being exposed.

“I’d love to be able to make that choice,” she said, of being able to choose water that hasn’t been fluoridated.

“I would like to urge council to take the time and review what has been presented tonight,” said Pat Andrews. “I’d like to be able to drink water that is just water.”

Christine Moody quoted from a Nov. 15, 2011 letter by Dr. Hardy Limeback, professor and head of preventive dentistry at the University of Toronto.

The letter read, in part, that Limeback has “personally conducted years of funded research at the University of Toronto on the topic of fluorosis (fluoride poisoning) and bone effects of fluoride intake. A bone study, for which we received national funding, comparing hip bones of people who live in Toronto (fluoridated since 1963) to the bones of people from Montreal (Montreal has never been fluoridated) suggests disturbing negative changes in the bone quality of Torontonians. This is not good.”

Limebeck’s letter also stated that fluoride has not been shown to be safe and effective and that the pendulum is shifting to where fluoride is being considered “not safe, and no longer effective.”